How to grow a tangerine tree at home: care rules
How nice to eat mandarin, grown with your own hands! Both the taste and aroma are incomparable. And the tree itself is incredibly beautiful, pleasing all year round with its oily, dense foliage and sunny fruits. Growing tangerines at home is not an easy task, but with some effort and patience, even a beginner can cope with it. The right variety and compliance with the rules of care will give results - such a plant will delight its owner for at least 20 years. We will tell you in detail how to plant a tangerine and care for it at home.
/*
C18H45BaClN3O10 | ωB97M-V/def2-TZVPD

Values from the calculation:
- Charge: +1
- HOMO energy: -11.32 eV
- 2S+1: 1
- Kohn-Sham gap: 8.781 eV
- DFT total energy: -57542.6561 eV
- ΔE to the lowest compared entry with this formula, charge and spin: 56.8 kJ/mol
- LUMO: -2.54 eV

Atoms and positions in Å:
Ba -20.991 -5.387 18.343
Cl -20.230 -5.422 14.144
O -20.836 -5.730 15.395
O -18.989 -4.704 14.339
O -20.008 -6.680 13.514
O -21.174 -4.681 13.371
C -18.645 -4.930 21.905
O -19.572 -4.441 20.934
C -20.181 -3.280 21.482
C -21.150 -2.613 20.498
N -22.136 -3.638 20.120
C -23.086 -2.879 19.325
C -24.142 -3.741 18.577
O -23.386 -4.588 17.565
C -24.317 -4.873 16.555
H -19.159 -5.016 22.862
H -17.750 -4.308 21.928
H -18.264 -5.915 21.636
H -19.425 -2.562 21.801
H -20.713 -3.585 22.383
H -20.629 -2.270 19.604
H -21.632 -1.779 21.008
H -22.458 -3.971 21.018
H -22.422 -2.316 18.670
H -23.652 -2.202 19.965
H -24.809 -3.027 18.095
H -24.730 -4.301 19.304
H -25.043 -5.652 16.788
H -23.832 -5.362 15.710
H -24.786 -4.062 15.997
C -19.846 -8.800 17.276
O -19.474 -7.468 17.451
C -18.070 -7.242 17.023
C -17.560 -5.993 17.709
N -18.353 -4.859 17.331
C -18.031 -3.616 17.976
C -18.916 -2.586 17.297
O -20.243 -2.929 16.929
C -20.897 -2.274 15.866
H -19.539 -9.201 16.310
H -20.913 -9.003 17.370
H -19.452 -9.449 18.059
H -18.072 -7.227 15.933
H -17.537 -8.163 17.262
H -16.554 -5.867 17.307
H -17.632 -6.215 18.773
H -18.345 -4.807 16.323
H -16.961 -3.431 17.880
H -18.354 -3.612 19.017
H -18.441 -2.349 16.345
H -18.911 -1.599 17.760
H -21.003 -1.200 16.022
H -21.833 -2.830 15.913
H -20.544 -2.475 14.854
C -23.135 -8.068 16.664
O -22.729 -7.264 17.776
C -23.270 -7.791 19.026
C -22.705 -7.218 20.301
N -21.271 -7.212 20.329
C -20.624 -8.514 20.549
C -20.899 -8.952 22.027
O -20.276 -7.992 22.892
C -20.446 -8.125 24.325
H -22.941 -9.120 16.877
H -22.493 -7.842 15.813
H -24.207 -7.979 16.492
H -23.007 -8.848 19.036
H -24.354 -7.675 19.025
H -23.092 -7.767 21.160
H -23.197 -6.262 20.482
H -21.131 -7.050 21.317
H -19.571 -8.629 20.293
H -21.149 -9.189 19.873
H -20.411 -9.906 22.223
H -21.979 -9.045 22.140
H -19.594 -7.677 24.837
H -20.421 -9.139 24.723
H -21.364 -7.606 24.600

----------

Entry 1:
{
  "formula": "C3H7Cl2NSi",
  "method": "ωB97M-V with the def2-TZVPD basis set",
  "species": ["C", "C", "C", "N", "Si", "Cl", "Cl", "H", "H", "H", "H", "H", "H", "H"],
  "positions_angstrom": [[2.286, 1.377, 0.446], [1.487, 1.134, -0.569], [-2.343, -0.798, 0.442], [-0.987, -0.404, 0.453], [0.189, -0.219, -0.738], [-0.482, -0.220, -2.657], [2.189, -2.675, -0.355], [3.110, 2.144, 0.692], [2.117, 0.800, 1.290], [1.579, 1.540, -1.499], [-2.981, 0.032, 0.838], [-2.732, -0.992, -0.578], [-2.704, -1.703, 0.914], [-0.729, -0.015, 1.320]],
  "lumo_ev": -1.02,
  "homo_ev": -8.75,
  "de_lowest_kcal_mol": 46.2,
  "spin_multiplicity": 1,
  "homo_lumo_gap_ev": 7.74
}



Entry 2:
{
  "formula": "C26H19F9N10OPRu",
  "method": "ωB97M-V with the def2-TZVPD basis set",
*/
Choosing a variety of decorative tangerine
In order not to be disappointed and get fruits already in 4-5 years, you should approach the choice of the future plant correctly. Breeders have bred dwarf species especially for home breeding. varieties of tangerines. They require less care, grow quickly, bloom and bear fruit abundantly.
It is best to choose from the most unpretentious varieties:
- Pioneer: large fruits weighing about 90 g, low, branched crown;
- Sochi: the weight of each tangerine exceeds 80 g, thin-barked;
- Kawano-Wase: height - up to 1 m, bears fruit in the second year after planting, yield from one tree - 100-120 tangerines with a diameter of 5-7 cm each;
- Nova: fragrant flowers, sweet fruits, but difficult to peel;
- Unshiu: reaches 1.5 m in height, bears fruit in the third year, seedless.
The choice of variety depends on what conditions will be created for the full development of the plant.
Attention! You should not purchase tall specimens for a small room. The tangerine will need space and a large pot. It is better to grow very low-growing varieties on the windowsill, for example, Pioneer.
Planting and propagating indoor tangerine
Creating ideal conditions for a plant is half the success. Mandarin loves the sun, but does not tolerate too high temperatures. It is demanding of moisture, but dies with excessive watering. It grows all year round, but requires winter dormancy to bear fruit.
Where to plant
The optimal place for a homemade tangerine is a window sill on the south or west side of the house. With short daylight hours, the plant needs additional lighting. A draft is detrimental to it, so the location is chosen taking into account the possibility of careful ventilation. You can’t often move the tangerine from place to place - there is a high probability of stress. Only once every two weeks is the pot with the plant rotated 10° so that the entire crown receives the same amount of ultraviolet radiation.
Important! In summer, the tangerine needs “walks” in the fresh air. If it is possible to keep it outside throughout the warm season, that’s good. The main thing is to protect it from the wind.
Requirements for soil and pot
Mandarin does not like acidic soils, so there should be no peat in the ground. It is best to purchase a special substrate for citrus fruits at a flower shop - it is ideal for growing a heat-loving southern plant at home. Soil acidity (pH) should not exceed 6.5-7 (usually it is indicated on the package with soil).
You cannot immediately plant a tangerine in a large pot - there is a great danger of waterlogging or acidification of the soil. To begin with, a container with a depth of 8-10 cm and a diameter of 7-8 cm is enough. Only when the root system fills the volume of the pot, do they transfer it to a larger one, increasing the diameter by 4-6 cm annually. Flowering and fruiting plants should not be replanted. Mature trees do not move at all, limiting themselves to updating the top layer of soil.
Reference. The material of the pot is not so important; it can be ceramic, plastic or wood. The main thing is that there are drainage holes for good soil aeration and protection from mold.
Growing from seed
The most labor-intensive process and unpredictable result. When growing tangerines from seeds, the plant does not bloom for a long time, and fruiting may not occur at all. The fruit will be smaller and have a different taste than the parent fruit. But it is interesting to observe the whole process from germination to ripening.
For germination, only healthy seeds are taken - they do not look dried out, without damage or black tops. The faster the grain gets from the tangerine into the ground, the better. But if this is not possible, the seeds are germinated in damp gauze.
Meanwhile, prepare the container. At the initial stage, even a 0.2 liter plastic cup with drainage holes pierced in the bottom will do.
Soil for citrus fruits is purchased at a flower shop, as it is guaranteed to be disinfected and has optimal acidity. Hatched or fresh seeds are deepened 4 cm into the soil. Provide moderate watering as the top layer of soil dries.
Important! Do not cover with jars or plastic.The plants tolerate home cultivation well, but greenhouse conditions are detrimental to them.
After 15-30 days (depending on the variety), the first shoots will hatch. When four leaves appear, the seedlings are transferred to pots with a diameter of 8-10 cm and a depth of at least 12-15 cm. If all the seeds have sprouted, they are placed in separate containers. It is best to plant at least 5-8 seeds. Firstly, not everyone will germinate. Secondly, for vaccination.
Tangerines grown from seeds take a long time to grow and require additional procedures:
- Crown formation. Only branches of the 4th-5th order bear fruit, so first pinch off the main shoot after reaching 35-40 cm in height. Then, as the side branches appear, they are cut off after the appearance of 5-6 leaves. The whole process takes 4-5 years.
• Molecular data that have nothing to do with the text:
~~~
The following is a quantum chemistry calculation of the molecule C7H10, from OMol25.

The geometry in XYZ format:
```
17
Properties=species:S:1:pos:R:3:forces:R:3
C -1.4619 1.1968 0.5603 -0.2 0.0 -0.1
C -0.0196 1.4648 0.8506 0.1 0.2 0.1
C 0.8366 1.0126 -0.3351 0.1 0.1 -0.1
C 0.3037 -0.4175 -0.1227 -0.1 0.0 -0.1
C 0.9524 -1.7744 -0.1814 0.1 0.0 0.2
C -0.0174 -1.3519 -1.2494 -0.2 0.0 -0.2
C -0.5828 0.0680 1.0208 0.0 -0.3 0.1
H -1.8206 1.2055 -0.4702 0.1 0.0 0.2
H -2.1623 1.6146 1.2790 0.1 -0.2 0.0
H 0.2816 2.1463 1.6395 0.0 -0.1 -0.2
H 1.9068 1.1946 -0.2250 0.0 -0.3 0.1
H 0.5005 1.4415 -1.2887 0.2 0.0 0.1
H 2.0005 -1.9077 -0.4381 -0.2 0.2 0.0
H 0.5779 -2.5103 0.5311 0.1 0.3 -0.1
H 0.4254 -1.0819 -2.2073 -0.2 0.0 0.1
H -0.9915 -1.8247 -1.3131 0.1 0.0 0.1
H -0.7404 -0.4662 1.9549 -0.1 0.1 -0.2
```
Positions in Å, forces in eV/Å.

**Frontier orbital gap**: 10.4 eV
**Energy relative to the best compared isomer or geometry (same formula, charge and spin)**: 57.54 kcal per mole
**HOMO**: -9.224 eV
**Charge**: 0
**SMILES**: C1[C@@H]2CC3(CC3)[C@H]12

natural (NBO) population analysis, charges in e, atoms 1 to 8:
1 C -0.419
2 C -0.218
3 C -0.389
4 C -0.050
5 C -0.406
6 C -0.424
7 C -0.220
8 H 0.207

~~~~~

No. 1
The following is a quantum chemistry calculation of C45H35F2IrNP2 as an isolated structure at a distorted geometry, from the Open Molecules 2025 dataset.

XYZ file:
```
86
Properties=species:S:1:pos:R:3:forces:R:3:lowdin_charge:R:1
Ir 0.73217 -0.14514 0.81776 -0.4033 1.4266 1.0758 0.950
C -2.48416 0.73870 -0.49143 0.1275 -0.1602 0.2907 -0.349
C -2.03524 -0.62852 -0.98851 0.0246 -0.0641 0.2489 -0.364
P -1.18742 -1.55981 0.35771 1.5303 0.8127 -1.8469 0.968
C -2.50440 -2.15911 1.45180 0.6850 0.5130 0.7229 -0.338
C -2.10050 -2.58652 2.71711 0.0077 0.0128 -0.0534 -0.086
C -3.00659 -3.19158 3.56877 0.0145 -0.0406 0.0786 -0.057
C -4.32087 -3.37043 3.16464 -0.0179 0.0357 -0.0530 -0.057
C -4.73473 -2.90708 1.92458 -0.0345 -0.0393 -0.0059 -0.062
C -3.83469 -2.29384 1.06830 0.0664 0.1147 -0.1841 -0.088
C -0.62668 -3.07530 -0.47861 0.4423 0.1357 0.3250 -0.342
C 0.73665 -3.35683 -0.44408 -0.0545 0.0589 0.0392 -0.108
C 1.24020 -4.47049 -1.09328 -0.0019 -0.0709 -0.0182 -0.060
C 0.37827 -5.32069 -1.76802 0.0512 0.0321 0.0488 -0.063
C -0.98483 -5.06013 -1.78233 -0.0692 -0.0269 -0.0835 -0.067
C -1.49179 -3.94313 -1.13970 -0.0681 0.1004 0.0758 -0.075
P -1.12751 1.63855 0.38178 1.4058 -0.9301 -1.3775 1.055
C -0.07799 2.41202 -0.89149 0.1529 -0.0049 0.2988 -0.431
C 1.18178 2.82760 -0.44835 -0.2174 0.0055 0.0352 -0.150
C 2.07271 3.40891 -1.32941 0.0366 0.0475 -0.0326 -0.060
C 1.71465 3.56859 -2.66095 0.0149 0.0441 0.0113 -0.063
C 0.46266 3.16895 -3.10031 0.0008 0.0163 -0.0513 -0.060
C -0.43923 2.59815 -2.21630 -0.1206 -0.0390 0.1274 -0.076
C -2.02646 3.11716 0.96699 0.2469 -0.3274 0.9366 -0.325
C -1.58182 4.39857 0.64445 0.0837 -0.0451 -0.0874 -0.064
C -2.30661 5.50759 1.04656 -0.0781 0.0253 0.0156 -0.055
C -3.46660 5.35249 1.78918 0.0730 -0.0304 -0.0527 -0.058
~~~
- Feeding. It is best to fertilize with special mixtures for citrus fruits, but organic ones are also suitable. Tangerines respond well to mullein diluted in a ratio of 1:10.
- Hibernation. In order for the tangerine to begin to bloom, at the age of 5-6 years it needs seasonal dormancy at a temperature not higher than +10...+12°C and darkening for 3-4 months.
- Stimulation of flowering. If, after a period of winter dormancy, the tangerine does not bloom, perform the following procedure: copper wire is tightly tied to the lower part of the trunk, as a result of which the sap flow slows down and the plant blooms.
- Load control. For every 20 leaves, one flower or ovary is left. This way the plant will not be overloaded and will be able to bear fruit fully.
From seedlings
The most proven way to get guaranteed results. The seedlings are either grown from cuttings or already grafted. The most resilient and low-growing varieties are grown for sale.You can get a harvest already in 2-3 years (depending on the age of the plant). Their care is minimal: lighting in winter, timely watering and fertilizing.
From layerings
A good option for getting a home plant from exactly the variety you like. This can be done where tangerines grow in their natural environment.
Select a one-year-old branch 20-25 cm long and cut it obliquely with a sharp knife. The bottom of the layer is freed from bark and leaves, the top is pinched. Then wrap it in a damp, thick cloth, place it at an angle of 45° in a shallow dish and periodically add water. 2-3 weeks after the roots appear, the cuttings are transplanted into a pot with a diameter of 20-25 cm and a depth of 30 cm and placed in a permanent place.
Further care consists of regular watering, fertilizing with nitrogen fertilizers and crown formation. After 3-5 years (depending on the variety), the tangerine will need winter rest before flowering.
Tangerine grafting
If you managed to grow a plant from a seed, but it does not bear fruit, there is a way out. A bud from a cultivated tree is grafted onto a tangerine. But it is best to do this in advance, until the sprout exceeds 20 cm in height.
For the procedure, you will need a scion from a varietal plant - a bud with a leaf petiole.
On a seedling grown from a seed, an incision is made in the bark in the shape of the letter T, where the top crossbar is 1 cm long and the “leg” is 2.5 cm. The edges are folded back and a bud of the cultivated plant is inserted inside. Then the bark is pressed tightly, the cut is treated with garden varnish and tightly bandaged with a bandage. After 3-4 weeks, the cuttings of the grafted bud will turn yellow and fall off. The bandage is removed and the top of the stone fruit plant is cut at a 45° angle 5 cm above the new branch.
This is interesting! How does a tangerine bloom? Once a year, in spring, small white flowers with a pleasant aroma shower the entire tree.
Features of caring for a tangerine tree at home
No matter how the plant is planted, it requires maintaining certain conditions and careful care.
In the summer, tangerine feels good outside, even at night, if it is warm enough. The optimal temperature is +25…+30°С. In spring and during the flowering period, the air should not warm up above +18...+20°C, otherwise the buds will fall off.
In winter, tangerine is in a resting phase at a temperature of +10...+12°C.
Mandarin is a southern plant that loves long daylight hours. During the rest period it needs darkening. In autumn and spring, it requires additional lighting, extending the day by 2-3 hours in the morning and 3-4 in the evening. To do this, use special phytolamps or ordinary fluorescent ones.
In their natural environment, tangerines grow in a subtropical climate. There the air humidity reaches 100%. But in an apartment they feel great even at 60-65%. To ensure this level, it is enough to use a humidifier or place open containers of water near the pots.
Do not use chlorinated tap water - it is harmful to most house plants.. For watering, it is best to use rain or bottled water at a temperature not lower than +20°C. If this is not possible, let the tap water sit for 2-3 days and only then water the tangerines.
The soil should not be over-moistened, nor should it be allowed to dry out. The guideline is the top layer of soil - there should be no dry crust on it. In summer, watering is done more often, in winter - less often.
Tangerines are very responsive to spraying. Using warm, settled water from a spray bottle, moisten the entire crown with the exception of the buds during the flowering period 2-3 times a week.
At least twice a month, special complex fertilizers for citrus fruits are applied to the soil (they are sold in flower shops). In summer, it is better to use organic manure - manure diluted with water in a ratio of 1:10. But in this way there is a high probability of introducing pests or pathogens into the soil.
If there is a need for transplantation or flowering, or the tangerines are at rest, you cannot feed them.
Protection from diseases and pests
Mandarin is often attacked by insects and pathogens.
Main pests:
- spider mite;
- aphid;
- citrus nematode;
- scale insect;
- whitefly;
+++
{"formula": "C2H8NS", "method": "ωB97M-V/def2-TZVPD", "elements": ["N", "H", "H", "H", "C", "C", "S", "H", "H", "H", "H", "H"], "xyz": [[0.278735, 2.664795, -0.351825], [0.329728, 3.043510, 0.571640], [-0.418087, 1.832244, -0.292433], [1.126912, 2.155445, -0.504810], [0.171033, -1.043755, -0.617925], [-0.526123, -1.444064, 0.615869], [-0.349603, -0.396746, 2.123329], [1.158056, -0.662936, -0.221337], [-0.272061, -0.207198, -1.168615], [0.269310, -1.875791, -1.358342], [-0.237769, -2.451036, 0.930185], [-1.530135, -1.614467, 0.274260]], "forces_ev_per_a": [[-2.1, -1.9, -0.9], [0.0, 0.0, 0.7], [1.4, 2.0, 0.3], [0.7, -0.1, 0.1], [2.4, 0.7, -0.6], [-1.0, -0.9, 1.3], [-0.2, 0.1, -0.8], [-0.4, -0.5, -1.1], [-0.2, 0.0, 0.3], [0.2, 0.4, 0.5], [0.4, 0.0, -0.2], [-1.3, 0.2, 0.4]], "mol_weight_da": 78.2, "e_homo_ev": -2.4, "charge": -1, "gap_ev": 6.70}

=====

Entry P
Entry from the OMol25 dataset: a molecular structure, C32H39ClN8O3STb (wB97M-V/def2-TZVPD).

## Properties
charge: -1
LUMO energy (alpha / beta): 0.078 / 0.078 Eh
multiplicity: 7
⟨S²⟩: 12.6847
gap between HOMO and LUMO (alpha / beta): 5.93 / 5.84 eV

Cartesian coordinates (Å):
Tb 0.257 -0.781 -0.502
N 0.481 2.081 -0.828
C 1.781 2.515 -0.280
C 2.052 1.770 1.019
O 2.433 2.388 2.023
N 1.823 0.463 0.897
C 1.858 -0.325 2.127
C 0.729 -1.324 1.890
O 0.967 -2.502 1.623
O -0.442 -0.791 1.681
H 0.215 2.660 -1.615
H -0.203 2.265 -0.089
H 1.823 3.583 -0.064
H 2.570 2.275 -0.997
H 1.671 0.289 3.011
H 2.801 -0.859 2.249
S -4.263 -2.783 0.752
C -4.593 -1.107 1.009
C -5.676 -0.507 1.649
C -5.728 0.877 1.687
C -4.719 1.644 1.089
C -3.645 1.044 0.461
C -3.574 -0.348 0.432
N -2.550 -1.084 -0.152
C -2.778 -2.355 -0.094
C -1.929 -3.382 -0.739
C -2.436 -4.677 -0.875
C -1.716 -5.630 -1.571
C -0.497 -5.263 -2.133
C -0.007 -3.974 -1.961
C -0.686 -2.976 -1.249
H -6.456 -1.107 2.102
H -6.557 1.368 2.180
H -4.780 2.725 1.124
H -2.845 1.627 0.025
H -3.401 -4.943 -0.453
H -2.101 -6.636 -1.685
H 0.077 -5.986 -2.704
H 0.951 -3.745 -2.414
C -0.399 2.238 -4.980
N -1.586 1.673 -4.342
C -2.806 1.568 -5.130
C -1.424 0.890 -3.277
N -1.269 0.229 -2.349
H -0.590 3.279 -5.242
H -0.141 1.682 -5.884
H 0.441 2.187 -4.292
H -3.108 2.561 -5.463
H -3.598 1.146 -4.518
H -2.656 0.931 -6.006
C -0.796 4.826 1.946
N -1.741 4.131 2.805
C -3.086 4.675 2.710
C -1.647 2.722 2.750
N -1.032 2.185 1.772
N -2.275 2.081 3.798
C -2.461 0.642 3.793
C -2.500 2.712 5.081
H -0.759 5.875 2.251
H -1.087 4.778 0.888
H 0.193 4.383 2.045
H -3.410 4.750 1.662
H -3.121 5.675 3.146
H -3.795 4.041 3.239
H -0.820 1.194 1.866
H -2.200 0.211 2.835
H -3.506 0.399 4.011
H -1.829 0.169 4.552
H -2.109 3.725 5.076
H -1.991 2.146 5.869
H -3.567 2.740 5.331
Cl 2.885 -2.305 -0.625
C 3.085 -2.471 -2.355
C 3.704 -3.606 -2.840
C 3.752 -3.832 -4.210
C 3.149 -2.898 -5.050
C 2.546 -1.760 -4.538
C 2.493 -1.481 -3.155
C 1.839 -0.319 -2.588
H 4.115 -4.326 -2.141
H 4.229 -4.719 -4.605
H 3.162 -3.055 -6.124
H 2.096 -1.040 -5.214
H 2.430 0.164 -1.803
H 1.543 0.403 -3.349

Entry Q
+++
- greenhouse thrips;
- mealybug.
If insects are found on the plant, they are fought with insecticidal preparations: “Actellik”, “Sulfarid”, “Aktofit”, “Ferramol”. But they cannot be used during the flowering or fruiting period, so that harmful substances do not accumulate in the fruits.
In this case, gentle methods are used:
- pests are removed from plants manually;
- tangerines are sprayed with soap (10 g per 1 liter of water) or vinegar (1 tsp 9% per 1 liter of water) solution;
- if affected by a nematode that lives in the soil, the bush must be transplanted into clean soil.
Pathogenic microorganisms cause diseases of tangerines:
- Anthracnose: with excessive moisture, light spots appear on the leaves, which darken over time. The infected parts of the plant are cut off, and the bush is sprayed with any fungicide.
- Late blight: brown rings on the trunks. If found, they are cleaned off and the tree is sprayed with a 3% solution of copper sulfate.
- Gommoz: brown spots on branches, leading to bark damage and cracks. Clean the infected areas and treat with 3% copper sulfate.
- Root rot: yellowing and falling of leaves. As a rule, once detected, it is too late to save the plant.
Tangerine diseases caused by viruses or bacteria cannot be cured.
Replanting and pruning
To form a tangerine crown, two methods are used: pinching the tops and forced growth in the desired direction.
In the first case, the main trunk is cut off when it reaches 25-30 cm and all side branches above 4-5 leaves. This allows the tangerine to branch and take on a fan-shaped shape for better illumination of the entire crown.
In the second case, all the branches are tied to the edge of the pot with wire, forming a palm-like appearance. Then the tree will branch well and produce a lot of leaves, making it look beautiful. This method also stimulates the tangerine to bloom.
Plants are replanted as they grow. Until the age of five - annually, then - once every 4-6 years. The optimal time is early spring. In order not to cause stress to the tangerine, transplant it together with a lump of earth into a pot with a diameter 5-6 cm larger than the previous one.
This is interesting:
Health benefits and harms of tangerines, rules of consumption.
What are the benefits of kaffir lime leaves and how to use them in cooking.
Growing citrus fruits at home is a troublesome, but very interesting task. It is best to purchase a grown seedling from a specialized store to reduce the time before flowering and fruiting. In addition, such plants undergo phytosanitary control, and the likelihood of getting a diseased tree is extremely low.Caring for a tangerine requires patience and work, but the result will exceed all expectations - little fragrant suns on the windowsill in the middle of winter.
Many varieties of tangerine trees either do not produce fruit or are tasteless and sour. Try buying from Agronova. Sweet, few seeds. Perfect!